Best Inspirational Videos for Meetings

Misplaced calculated molecules:
/*
1.
{
  "formula": "C23H25NO",
  "method": "wB97M-V/def2-TZVPD",
  "elements": ["C", "C", "C", "N", "C", "C", "C", "C", "C", "C", "C", "C", "C", "C", "C", "C", "C", "C", "C", "C", "C", "C", "O", "C", "C", "H", "H", "H", "H", "H", "H", "H", "H", "H", "H", "H", "H", "H", "H", "H", "H", "H", "H", "H", "H", "H", "H", "H", "H", "H"],
  "positions_angstrom": [[-5.0229, 1.1655, -0.3646], [-5.3808, -0.1675, -1.0754], [-4.8537, -1.3984, -0.3223], [-3.5436, -1.8838, -0.8563], [-3.3183, -3.3218, -0.9016], [-2.7226, -3.7337, 0.4792], [-1.4560, -3.0133, 0.7263], [-0.4448, -3.6725, 1.4153], [0.8702, -3.1660, 1.3776], [1.1182, -1.9407, 0.7481], [0.0959, -1.2384, 0.0971], [-1.1963, -1.8194, 0.0872], [-2.3357, -1.0724, -0.5865], [-1.8671, -0.4531, -1.8802], [-0.6758, 0.4481, -1.5986], [-0.5571, 1.6700, -2.2381], [0.4915, 2.5302, -1.9299], [1.4571, 2.0932, -1.0408], [2.6738, 2.7259, -0.5970], [3.2843, 3.9247, -1.2629], [3.2489, 1.8816, 0.2784], [4.5511, 2.0629, 1.0240], [2.4949, 0.7616, 0.4758], [1.3918, 0.8658, -0.3754], [0.2684, 0.0249, -0.6068], [-5.2012, 2.0054, -1.0690], [-3.9899, 1.2418, -0.0891], [-5.5944, 1.2527, 0.5602], [-6.4575, -0.2185, -1.1220], [-4.9576, -0.1568, -2.0707], [-4.8186, -1.1695, 0.7295], [-5.6324, -2.1699, -0.4299], [-2.6485, -3.5890, -1.7233], [-4.2219, -3.8585, -1.1309], [-2.6574, -4.8187, 0.4974], [-3.4037, -3.4859, 1.2870], [-0.6066, -4.6312, 1.9155], [1.7012, -3.7316, 1.7733], [2.1376, -1.6213, 0.7175], [-2.5618, -0.2349, 0.0979], [-2.6719, 0.1326, -2.2998], [-1.5149, -1.1861, -2.6155], [-1.2952, 1.9669, -2.9825], [0.6055, 3.4968, -2.3999], [2.7199, 4.8105, -0.9975], [4.3380, 4.0817, -1.0017], [3.1844, 3.8275, -2.3677], [4.4576, 1.7567, 2.0718], [5.3198, 1.4310, 0.5396], [4.8709, 3.1177, 0.9859]],
*/

Motivational Videos - A Tribute to The Farmer In All of Us

Written by David Haneke | Feb 12, 2013 6:48:00 PM

Having worked among the rural farmers of America for 10 summers, I have great respect for the hardworking farmer. As this inspirational video illustrates, a farmer is the man or woman who works all days and then heads home to take care of his family, and after that, attends a school board meeting to make a difference in the community.

(Inserted here: calculated molecules)
'''
# 1
Molecular formula: C6H10O
Method: DFT, the ωB97M-V functional and the def2-TZVPD basis

```
17
Properties=species:S:1:pos:R:3:lowdin_charge:R:1
O 0.87 -1.97 1.07 0.03
C 1.71 -1.14 0.79 -0.28
C 1.64 -0.20 -0.39 -0.14
C 0.61 0.93 0.05 -0.14
C -0.78 0.85 -0.61 -0.28
C -1.25 -0.55 -0.82 -0.15
C -2.06 0.36 0.04 -0.11
H 2.55 -0.97 1.50 0.12
H 2.66 0.17 -0.58 0.11
H 1.34 -0.76 -1.28 0.12
H 1.06 1.91 -0.15 0.10
H 0.47 0.86 1.14 0.11
H -0.97 1.58 -1.40 0.13
H -1.55 -0.85 -1.81 0.10
H -0.65 -1.26 -0.26 0.07
H -3.00 0.71 -0.39 0.10
H -2.13 0.16 1.11 0.10
```

Results
- Relative energy (zero: lowest compared OMol25 entry of this formula, charge and spin): 29.4 kcal/mol
- Lowest unoccupied orbital energy: 0.039 Ha
- E_HOMO: -9.78 eV

---

# 2
Molecular formula: C6H10O
Method: DFT, the ωB97M-V functional and the def2-TZVPD basis

```
17
Properties=species:S:1:pos:R:3:lowdin_charge:R:1
C -1.12 -1.82 -0.60 -0.04
C -0.51 -0.53 -0.16 -0.27
C -1.08 0.50 0.48 -0.05
C -0.15 1.68 0.63 -0.18
C 1.08 1.26 -0.21 -0.13
C 0.96 -0.26 -0.39 -0.35
O 1.70 -1.01 0.57 -0.03
H -0.51 -2.67 -0.27 0.08
H -1.14 -1.85 -1.69 0.08
H -2.14 -1.95 -0.24 0.08
H -2.09 0.52 0.88 0.11
H 0.10 1.84 1.69 0.11
H -0.60 2.61 0.27 0.11
H 1.03 1.74 -1.19 0.11
H 2.04 1.54 0.25 0.11
H 1.32 -0.59 -1.37 0.15
H 1.11 -1.00 1.34 0.10
```

Results
- Relative energy (zero: lowest compared OMol25 entry of this formula, charge and spin): 1.5 kcal/mol
- Lowest unoccupied orbital energy: 0.035 Ha
- E_HOMO: -9.28 eV

---

- Among the records above, which one has the highest relative energy (zero: lowest compared OMol25 entry of this formula, charge and spin)?
  number 1

---

- Look up the lowest unoccupied orbital energy of the first one.
  0.039 Ha

~~~~~

Computed, not measured: a structure of composition C3H3PS in a non-equilibrium geometry, with wB97M-V/def2-TZVPD.

Computed properties:
Electronic energy   -23279.98025 eV
LUMO (spin up / spin down)   -1.305 / -1.350 eV
ΔE to the lowest compared entry with this formula, charge and spin   1.468 eV
Frontier orbital gap (spin up / spin down)   6.19 / 6.20 eV

```
! RIJCOSX wB97M-V def2-TZVPD def2/J DEFGRID3
* xyz 0 1
C 0.36 0.25 0.08
C 1.45 -0.57 -0.03
C -1.10 -0.04 -0.01
P 1.06 1.79 -0.22
S 2.81 -1.33 0.09
H -1.52 0.63 -0.86
H -1.59 0.35 0.95
H -1.47 -1.08 0.00
*
```

And the Löwdin charges, in e, turn out to be:
1. C -0.8626
2. C -0.7811
3. C -0.1726
4. P 0.8484
5. S 0.7193
6. H 0.0894
7. H 0.0875
8. H 0.0717



Computed, not measured: an isolated molecule of C3H4 in a non-equilibrium geometry, with wB97M-V/def2-TZVPD.

Computed properties:
Electronic energy   -3173.33333 eV
Structure (SMILES)   C#CC
LUMO   1.027 eV
ΔE to the lowest compared entry with this formula, charge and spin   0.517 eV
Frontier orbital gap   11.14 eV

```
! RIJCOSX wB97M-V def2-TZVPD def2/J DEFGRID3
* xyz 0 1
C -1.35 -0.13 -0.01
C -0.23 0.20 0.01
C 1.20 -0.03 -0.01
H -2.40 0.06 0.04
H 1.59 0.91 -0.26
H 1.63 -0.37 0.94
H 1.50 -0.84 -0.67
*
```
'''

As this Dodge spot opens, we hear the voice of Paul Harvey, the broadcast voice of a radio program known as "The Rest of the Story", which played 51 years on ABC Radio Network. He was best known for telling an unknown story about a famous person, leaving out who the story was about until the very end.

The audio for this spot is a presentation Paul Harvey made in 1978. He mentions the 8th day of creation, a tongue-in-cheek reference to the seven days of creation as mentioned in the Bible.  He tells the story as though God made a farmer to become the caretaker of all that He had made.  As Harvey puts it, "Somebody willing to get up before dawn, milk cows, work all day in the field, eat supper, then milk cows again, then stay out until midnight at the meeting of the school board."  Harvey later adds about the character of a farmer, "Somebody who would plow deep and straight and not cut corners."

Go here for the full transcript of his broadcast.

This is a tribute to the farmer in all of us. We intuitively recognize that most all lines of work require doing the work of a farmer...even though it's not necessarily planting and ploughing.  Harvey says of the farmer, "by Tuesday, he's already put in his 40 hours, then goes ahead and works another 72."  Of the farmer, he says, "Somebody to seed, weed, feed, and rake and disc and plow and plant and tie the fleece and strain the milk...".

Obviously, not everyone does each of these things, but in the field of sales, we do seed with phone calls as well as inbound marketing, we do weed by keeping up our database, we feed our minds and those of our clients with opportunities for the future, we rake, disc and plow by checking up on our clients periodically. And of course, we all harvest the work of our hands, graciously provided through our work and the gift of our Creator.

I also love how Harvey refers to the farmer who, "ties the family together with the soft, strong bonds of sharing."  This refers to the single person as well as married!

Are you looking to inspire your sales force to keep at it, to press in when the going gets hard, to recognize that we must tie things together with what's available, including our schedules, co-workers and our families? This is a tremendous tribute to the farmer in all of us.

# Quantum chemistry results, as found in the file
/*
Molecular formula: C46H40AsInN8OS
Method: DFT, the ωB97M-V functional and the def2-TZVPD basis

Computed properties:
Energy ... -139158.1023 eV
HOMO-LUMO gap ... 6.34 eV
ΔE to the lowest compared entry with this formula, charge and spin ... 0.4038 eV
Lowest unoccupied orbital energy ... -5.32 eV
HOMO ... -11.7 eV

ORCA input file:
```
! wB97M-V def2-TZVPD RIJCOSX def2/J DEFGRID3
* xyz 2 1
H -3.2759 -0.2129 -3.9742
C -5.8375 -1.1330 -2.1651
H 5.6493 -0.8074 7.9015
C -1.5917 -0.7097 2.7856
H 2.6977 4.9808 -1.5292
H 8.5920 -0.7833 4.7868
C 7.2415 -0.7983 6.4435
C 2.1375 -0.7997 2.5908
C -1.8561 -0.7173 1.4166
H -1.5420 -6.1694 0.0679
C -0.9854 -4.1845 -1.7328
C -0.7392 -6.3126 -0.6522
H 8.9951 -0.8094 9.1673
H -4.9353 2.2367 1.6516
C 6.5421 -0.7890 4.1440
H -0.7291 -7.3516 -0.9579
H 4.8088 -0.7713 -0.4928
C -0.3399 5.7993 -0.2644
H -1.6660 4.7856 -5.9519
C 0.9618 3.7270 -1.5833
H 4.0675 -0.7527 -2.8892
C -1.5160 3.5268 -4.2247
H -2.1626 -5.8170 -3.5785
N -4.1853 -0.0807 -3.5467
C 4.9045 -0.8025 5.8960
C -5.4018 3.1694 -1.5740
H -2.6613 1.8243 0.7766
H -6.6150 -0.7237 -2.7983
H 1.5392 6.8280 -0.3593
S -0.9505 -0.5679 -4.2141
C -4.4926 -0.8445 -2.4717
H -1.1030 -7.1488 -3.1098
C 5.1984 -0.7960 4.5377
H -2.0864 4.5550 -0.3216
C 3.3539 -0.7682 -2.0762
C -0.3857 3.6155 -1.2493
N 1.0670 -0.7937 -1.4075
C -3.8218 -2.1702 -0.6884
N -0.9532 -5.4841 -1.8578
C -3.1450 2.4080 -1.2332
C 4.1569 -0.7975 3.5101
H -2.8720 -0.6464 1.0592
H -1.0652 0.6045 -6.6748
H 0.2151 -6.0780 -0.1862
C 2.7964 -0.7964 0.2514
C -0.2907 -0.7526 3.2105
H -6.1639 3.5788 -2.2284
H -3.8958 3.1499 -3.1037
H -1.6165 4.3522 -3.5316
C -1.1994 1.4280 -5.9833
In -1.2093 -0.7575 -1.7827
N -3.4955 -1.3066 -1.6878
C 1.0003 5.9210 -0.6054
C -4.1254 2.9273 -2.0704
H -7.1699 -2.1785 -0.8814
H -0.4180 -5.7284 -3.9014
C -3.4420 2.1647 0.1084
C 8.0266 -0.8076 8.6836
C 0.4090 -0.7963 0.9048
N 4.3662 -0.8007 2.2072
H -1.3736 2.8886 -7.5356
N -1.0073 -3.0307 -1.6475
C 7.5480 -0.7897 5.0796
O 8.2871 -0.8002 7.2810
H -2.9868 -2.6100 -0.1631
C -1.1885 1.1645 -4.6106
H 7.4747 -1.7018 8.9740
C 3.7610 -0.7798 -0.7686
C -1.0423 4.6425 -0.5837
C 1.4463 -0.8023 -0.1081
C -5.0991 -2.5100 -0.3568
C -1.3729 2.7147 -6.4657
N 2.8132 -0.7962 3.7880
H 7.4733 0.0827 8.9835
C 1.6519 4.8847 -1.2633
H 1.4663 2.9222 -2.1023
C -1.5355 3.7754 -5.5834
H -6.6991 3.0941 0.1361
C 5.9095 -0.8034 6.8517
C -1.3539 2.2303 -3.7219
H 3.8763 -0.8054 6.2469
H 6.7757 -0.7818 3.0864
As -1.3304 2.0249 -1.8010
H -2.4145 -0.6643 3.4878
C 1.9844 -0.7748 -2.3589
C -1.1751 -6.0718 -3.2006
H -5.2921 -3.1962 0.4568
C -5.7010 2.9015 -0.2441
H -0.8477 6.6074 0.2476
H -4.9332 0.1481 -4.1782
C -6.1371 -1.9465 -1.1097
N -0.8910 -0.7756 0.5040
C -4.7162 2.4100 0.6040
C 0.7524 -0.7873 2.2720
H 2.4139 -0.7913 4.7103
C 3.1264 -0.8014 1.6415
H -0.0654 -0.7459 4.2706
H 1.6175 -0.7624 -3.3784
*
```
*/

Contact me to license and customize this spot for your organization, as we have done for dozens of other creative spots. Or, perhaps you can request a free creative session to brainstorm about a unique message that directly hits home with your organization.